• Exercise:
Please type out the block below without additions.

• Entries:
The following is a DFT calculation (GGA-PBEsol) of an optimized crystal structure of Ir2OsRu.

Cell: 2.6919 2.6919 7.6395 Å, 90.00 90.00 90.00°
Last column: nearest neighbours and their distance in Å.
Sites, in units of the cell vectors:
Ir (0.0000, 0.0000, 0.0000)  4 Ru 2.68, 8 Ir 2.69-2.73
Ir (0.5000, 0.5000, 0.2566)  8 Ir 2.69-2.73, 4 Os 2.69
Os (0.0000, 0.0000, 0.5060)  4 Ru 2.68, 4 Os 2.69, 4 Ir 2.69
Ru (0.5000, 0.5000, 0.7523)  4 Os 2.68, 4 Ir 2.68, 4 Ru 2.69

## Properties
Fermi-level density of states: 3.15 states/eV/f.u.
Final energy: -10.493 eV/atom
Energy relative to the elements: 0.02 eV/atom
Space-group type: No. 99

=====

1.
Here is a relaxed structure of Mg3Si2H4O9 from the Alexandria database. Energies are from PBE-GGA.

Computed properties:
The value obtained for the density of states at the Fermi level is 0.00 states/eV/cell. For the raw total energy, the calculation gives -6.34 eV per atom. The magnetization is 0.0 μB per formula unit.

CIF file:
```
data_Mg3Si2H4O9
_chemical_formula_sum 'Mg3 Si2 H4 O9'
_cell_length_a 5.3698
_cell_length_b 5.3698
_cell_length_c 7.4150
_cell_angle_alpha 90.00
_cell_angle_beta 90.00
_cell_angle_gamma 120.00
_space_group_name_H-M_alt 'P 3 1 m'
_space_group_IT_number 157
loop_
_space_group_symop_operation_xyz
'x,y,z'
'-y,x-y,z'
'-x+y,-x,z'
'y,x,z'
'x-y,-y,z'
'-x,-x+y,z'
loop_
_atom_site_label
_atom_site_type_symbol
_atom_site_fract_x
_atom_site_fract_y
_atom_site_fract_z
_atom_site_occupancy
Mg1 Mg 0.0000 0.6688 0.0000 1
Si1 Si 0.3333 0.6667 0.6207 1
H1 H 0.0000 0.0000 0.7196 1
H2 H 0.0000 0.3489 0.2629 1
O1 O 0.0000 0.0000 0.8501 1
O2 O 0.0000 0.3356 0.1322 1
O3 O 0.0000 0.4882 0.5382 1
O4 O 0.3333 0.6667 0.8379 1
```

=====

2.
Here is a relaxed structure of MnOsPt2 from the Alexandria database. Energies are from PBE-GGA.

Computed properties:
The value obtained for the density of states at the Fermi level is 5.77 states/eV/cell. For the raw total energy, the calculation gives -8.19 eV per atom. The magnetization is 2.9 μB per formula unit. As for the formation energy: -0.07 eV/atom.

CIF file:
```
data_MnOsPt2
_chemical_formula_sum 'Mn2 Os2 Pt4'
_cell_length_a 3.8393
_cell_length_b 3.8393
_cell_length_c 7.8963
_cell_angle_alpha 90.00
_cell_angle_beta 90.00
_cell_angle_gamma 90.00
_space_group_name_H-M_alt 'I 4/m m m'
_space_group_IT_number 139
_space_group_name_Hall '-I 4 2'
loop_
_atom_site_label
_atom_site_type_symbol
_atom_site_fract_x
_atom_site_fract_y
_atom_site_fract_z
_atom_site_occupancy
Mn1 Mn 0.0000 0.0000 0.0000 1
Os1 Os 0.0000 0.0000 0.5000 1
Pt1 Pt 0.0000 0.5000 0.2500 1
```

=====

3.
Here is a relaxed structure of MnWCl from the Alexandria database. Energies are from PBE-GGA.

Computed properties:
The value obtained for the density of states at the Fermi level is 8.30 states/eV/cell. For the raw total energy, the calculation gives -7.55 eV per atom. The magnetization is 2.3 μB per formula unit. The raw formation energy is 0.440 eV per atom.

CIF file:
```
data_MnWCl
_chemical_formula_sum 'Mn4 W4 Cl4'
_cell_length_a 3.0806
_cell_length_b 5.0242
_cell_length_c 12.5196
_cell_angle_alpha 90.00
_cell_angle_beta 90.00
_cell_angle_gamma 90.00
_space_group_name_H-M_alt 'F m m 2'
_space_group_IT_number 42
_space_group_name_Hall 'F 2 -2'
loop_
_atom_site_label
_atom_site_type_symbol
_atom_site_fract_x
_atom_site_fract_y
_atom_site_fract_z
_atom_site_occupancy
Mn1 Mn 0.0000 0.0000 0.0000 1
W1 W 0.0000 0.0000 0.6507 1
Cl1 Cl 0.0000 0.0000 0.3394 1
```

=====

4.
Here is a relaxed structure of Ce3ThPt12 from the Alexandria database. Energies are from PBE-GGA.

Computed properties:
The value obtained for the density of states at the Fermi level is 9.60 states/eV/cell. For the raw total energy, the calculation gives -7.12 eV per atom. The magnetization is 0.8 μB per formula unit. As for the formation energy: -1.02 eV/atom.

CIF file:
```

• Worked solution:
The following is a DFT calculation (GGA-PBEsol) of an optimized crystal structure of Ir2OsRu.

Cell: 2.6919 2.6919 7.6395 Å, 90.00 90.00 90.00°
Last column: nearest neighbours and their distance in Å.
Sites, in units of the cell vectors:
Ir (0.0000, 0.0000, 0.0000)  4 Ru 2.68, 8 Ir 2.69-2.73
Ir (0.5000, 0.5000, 0.2566)  8 Ir 2.69-2.73, 4 Os 2.69
Os (0.0000, 0.0000, 0.5060)  4 Ru 2.68, 4 Os 2.69, 4 Ir 2.69
Ru (0.5000, 0.5000, 0.7523)  4 Os 2.68, 4 Ir 2.68, 4 Ru 2.69

## Properties
Fermi-level density of states: 3.15 states/eV/f.u.
Final energy: -10.493 eV/atom
Energy relative to the elements: 0.02 eV/atom
Space-group type: No. 99

=====

1.
Here is a relaxed structure of Mg3Si2H4O9 from the Alexandria database. Energies are from PBE-GGA.

Computed properties:
The value obtained for the density of states at the Fermi level is 0.00 states/eV/cell. For the raw total energy, the calculation gives -6.34 eV per atom. The magnetization is 0.0 μB per formula unit.

CIF file:
```
data_Mg3Si2H4O9
_chemical_formula_sum 'Mg3 Si2 H4 O9'
_cell_length_a 5.3698
_cell_length_b 5.3698
_cell_length_c 7.4150
_cell_angle_alpha 90.00
_cell_angle_beta 90.00
_cell_angle_gamma 120.00
_space_group_name_H-M_alt 'P 3 1 m'
_space_group_IT_number 157
loop_
_space_group_symop_operation_xyz
'x,y,z'
'-y,x-y,z'
'-x+y,-x,z'
'y,x,z'
'x-y,-y,z'
'-x,-x+y,z'
loop_
_atom_site_label
_atom_site_type_symbol
_atom_site_fract_x
_atom_site_fract_y
_atom_site_fract_z
_atom_site_occupancy
Mg1 Mg 0.0000 0.6688 0.0000 1
Si1 Si 0.3333 0.6667 0.6207 1
H1 H 0.0000 0.0000 0.7196 1
H2 H 0.0000 0.3489 0.2629 1
O1 O 0.0000 0.0000 0.8501 1
O2 O 0.0000 0.3356 0.1322 1
O3 O 0.0000 0.4882 0.5382 1
O4 O 0.3333 0.6667 0.8379 1
```

=====

2.
Here is a relaxed structure of MnOsPt2 from the Alexandria database. Energies are from PBE-GGA.

Computed properties:
The value obtained for the density of states at the Fermi level is 5.77 states/eV/cell. For the raw total energy, the calculation gives -8.19 eV per atom. The magnetization is 2.9 μB per formula unit. As for the formation energy: -0.07 eV/atom.

CIF file:
```
data_MnOsPt2
_chemical_formula_sum 'Mn2 Os2 Pt4'
_cell_length_a 3.8393
_cell_length_b 3.8393
_cell_length_c 7.8963
_cell_angle_alpha 90.00
_cell_angle_beta 90.00
_cell_angle_gamma 90.00
_space_group_name_H-M_alt 'I 4/m m m'
_space_group_IT_number 139
_space_group_name_Hall '-I 4 2'
loop_
_atom_site_label
_atom_site_type_symbol
_atom_site_fract_x
_atom_site_fract_y
_atom_site_fract_z
_atom_site_occupancy
Mn1 Mn 0.0000 0.0000 0.0000 1
Os1 Os 0.0000 0.0000 0.5000 1
Pt1 Pt 0.0000 0.5000 0.2500 1
```

=====

3.
Here is a relaxed structure of MnWCl from the Alexandria database. Energies are from PBE-GGA.

Computed properties:
The value obtained for the density of states at the Fermi level is 8.30 states/eV/cell. For the raw total energy, the calculation gives -7.55 eV per atom. The magnetization is 2.3 μB per formula unit. The raw formation energy is 0.440 eV per atom.

CIF file:
```
data_MnWCl
_chemical_formula_sum 'Mn4 W4 Cl4'
_cell_length_a 3.0806
_cell_length_b 5.0242
_cell_length_c 12.5196
_cell_angle_alpha 90.00
_cell_angle_beta 90.00
_cell_angle_gamma 90.00
_space_group_name_H-M_alt 'F m m 2'
_space_group_IT_number 42
_space_group_name_Hall 'F 2 -2'
loop_
_atom_site_label
_atom_site_type_symbol
_atom_site_fract_x
_atom_site_fract_y
_atom_site_fract_z
_atom_site_occupancy
Mn1 Mn 0.0000 0.0000 0.0000 1
W1 W 0.0000 0.0000 0.6507 1
Cl1 Cl 0.0000 0.0000 0.3394 1
```

=====

4.
Here is a relaxed structure of Ce3ThPt12 from the Alexandria database. Energies are from PBE-GGA.

Computed properties:
The value obtained for the density of states at the Fermi level is 9.60 states/eV/cell. For the raw total energy, the calculation gives -7.12 eV per atom. The magnetization is 0.8 μB per formula unit. As for the formation energy: -1.02 eV/atom.

CIF file:
```